Source >
- - -
A geometry-optimized NiAgP structure. Source: Alexandria, functional PBE.

Structure (POSCAR):
```
NiAgP
1.0
3.8278 0.0000 0.0000
0.0000 3.8278 0.0000
0.0000 0.0000 6.0000
Ni Ag P
2 2 2
Cartesian
0.0000 0.0000 3.0000 Ni
1.9139 1.9139 3.0000 Ni
1.9139 0.0000 0.8134 Ag
0.0000 1.9139 5.1866 Ag
1.9139 0.0000 4.2637 P
0.0000 1.9139 1.7362 P
```

Relative energy among the computed polymorphs ... 0.0 meV/atom
D(E_F) ... 0.767 states/eV per atom
Volume ... 14.65 Å³ per atom
Crystal system ... tetragonal

---

A geometry-optimized Na3CaY structure. Source: Alexandria, functional PBE.

Structure (POSCAR):
```
Na3CaY
1.0
-1.6613 -4.7419 -3.0574
1.8627 -3.4694 4.3689
-5.3258 0.2657 2.4817
Y Na Ca
1 3 1
Cartesian
-2.5622 -3.9728 1.8966 Y
0.9314 -1.7347 2.1844 Na
-2.6629 0.1329 1.2409 Na
-0.8306 -2.3710 -1.5287 Na
0.0000 0.0000 0.0000 Ca
```

Relative energy among the computed polymorphs ... 0.0 meV/atom
D(E_F) ... 1.414 states/eV per atom
Volume ... 40.69 Å³ per atom
Crystal system ... cubic

---

A geometry-optimized NaAgF5 structure. Source: Alexandria, functional PBE.

Structure (POSCAR):
```
NaAgF5
1.0
-2.1863 -2.3790 4.4691
2.9775 -4.3993 1.4806
4.5872 1.7717 6.7287
F Ag Na
10 2 2
Cartesian
6.0270 -2.3950 9.4003 F
1.5168 -0.7060 4.1634 F
0.7394 -4.8623 5.6301 F
1.6851 -2.4795 7.2213 F
-0.6486 -2.6116 3.2781 F
-0.8222 -2.0211 6.0254 F
3.6932 -2.5272 5.4570 F
3.8616 -4.3007 8.5150 F
6.2006 -2.9856 6.6529 F
4.6390 -0.1443 7.0482 F
0.0000 0.0000 0.0000 Ag
2.2936 0.8858 3.3643 Ag
1.4574 -2.9130 4.7062 Na
3.9210 -2.0937 7.9721 Na
```

Uncorrected formation energy ... -1.45 eV per atom
Volume ... 15.41 Å³ per atom
Crystal system ... monoclinic

---

A geometry-optimized Y2TlCuTe structure. Source: Alexandria, functional PBE.

Structure (POSCAR):
```
Y2TlCuTe
1.0
5.6523 0.0000 0.0000
0.0000 6.0099 0.0000
0.0000 0.0000 5.6523
Te Cu Y Tl
1 1 2 1
Cartesian
0.0000 0.0000 0.0000 Te
2.8261 3.0049 2.8261 Cu
0.0000 0.0000 2.8261 Y
2.8261 0.0000 0.0000 Y
0.0000 3.0049 0.0000 Tl
```

Uncorrected formation energy ... 0.47 eV per atom
D(E_F) ... 1.351 states/eV per atom
Volume ... 38.40 Å³ per atom
Crystal system ... tetragonal

---

A geometry-optimized CaPmSmTh structure. Source: Alexandria, functional PBE.

Structure (POSCAR):
```
CaPmSmTh
1.0
-2.0241 1.6127 -5.2039
-4.4822 -2.8326 -2.3799
-5.1826 2.5957 -0.4252
Pm Th Sm Ca
1 1 1 1
Cartesian
0.0000 0.0000 0.0000 Pm
-8.7667 1.0318 -6.0068 Th
-5.8445 0.6879 -4.0045 Sm
-2.9222 0.3439 -2.0023 Ca
```

D(E_F) ... 1.981 states/eV per atom
Volume ... 34.70 Å³ per atom
Calculated total energy ... -4.4983 eV/atom
Crystal system ... cubic

---

A geometry-optimized YHg2Br structure. Source: Alexandria, functional PBE.

Structure (POSCAR):
```
YHg2Br
1.0
-5.5216 0.7249 0.7773
-4.6541 -2.9741 1.0547
-1.2032 0.1422 5.6596
Hg Y Br
2 1 1
Cartesian
-2.6150 -0.4975 1.5448 Hg
-10.1297 -2.2222 2.0484 Hg
-5.7888 -1.0291 4.3814 Y
-8.7105 -1.6609 5.0947 Br
```
- - -

Assignment >
Start at the top of the lines above and quote each line, ending with the one that has "7.9721 Na".

Done >
A geometry-optimized NiAgP structure. Source: Alexandria, functional PBE.

Structure (POSCAR):
```
NiAgP
1.0
3.8278 0.0000 0.0000
0.0000 3.8278 0.0000
0.0000 0.0000 6.0000
Ni Ag P
2 2 2
Cartesian
0.0000 0.0000 3.0000 Ni
1.9139 1.9139 3.0000 Ni
1.9139 0.0000 0.8134 Ag
0.0000 1.9139 5.1866 Ag
1.9139 0.0000 4.2637 P
0.0000 1.9139 1.7362 P
```

Relative energy among the computed polymorphs ... 0.0 meV/atom
D(E_F) ... 0.767 states/eV per atom
Volume ... 14.65 Å³ per atom
Crystal system ... tetragonal

---

A geometry-optimized Na3CaY structure. Source: Alexandria, functional PBE.

Structure (POSCAR):
```
Na3CaY
1.0
-1.6613 -4.7419 -3.0574
1.8627 -3.4694 4.3689
-5.3258 0.2657 2.4817
Y Na Ca
1 3 1
Cartesian
-2.5622 -3.9728 1.8966 Y
0.9314 -1.7347 2.1844 Na
-2.6629 0.1329 1.2409 Na
-0.8306 -2.3710 -1.5287 Na
0.0000 0.0000 0.0000 Ca
```

Relative energy among the computed polymorphs ... 0.0 meV/atom
D(E_F) ... 1.414 states/eV per atom
Volume ... 40.69 Å³ per atom
Crystal system ... cubic

---

A geometry-optimized NaAgF5 structure. Source: Alexandria, functional PBE.

Structure (POSCAR):
```
NaAgF5
1.0
-2.1863 -2.3790 4.4691
2.9775 -4.3993 1.4806
4.5872 1.7717 6.7287
F Ag Na
10 2 2
Cartesian
6.0270 -2.3950 9.4003 F
1.5168 -0.7060 4.1634 F
0.7394 -4.8623 5.6301 F
1.6851 -2.4795 7.2213 F
-0.6486 -2.6116 3.2781 F
-0.8222 -2.0211 6.0254 F
3.6932 -2.5272 5.4570 F
3.8616 -4.3007 8.5150 F
6.2006 -2.9856 6.6529 F
4.6390 -0.1443 7.0482 F
0.0000 0.0000 0.0000 Ag
2.2936 0.8858 3.3643 Ag
1.4574 -2.9130 4.7062 Na
3.9210 -2.0937 7.9721 Na